July 1, 2020
Dear Parents,
This is an update on COVID-19 for our school district to ensure the safety of everyone entering our building. We will be working closely with the Lawrence and Barry Counties to ensure the safety of our students, teachers, and anyone entering our campuses; plans or guidelines are subject to change at any time.
We are in the process of putting together our Back-to-School plans. The admin team and superintendent will be meeting with health officials on July 9 to help finalize fall plans. We will be sending out a survey to parents soon. We look forward to hearing our parents' feedback. We will be sharing Back-to-School plans at the end of July.
As we continue to move forward with the July Summer School session, the safety and wellness of our students and staff continue to be our number one priority.
The following are health guidelines we will follow to increase the safety of students and staff:
No bus transportation for the July Summer Experience session.
Desks are being rearranged to increase space between students.
Social distancing will be practiced as much as possible or as much as we are able.
A nurse will be on campus to provide additional health support.
Sick students or staff must remain at home.
Parents/guardians are encouraged to monitor their child’s temperature and keep them home if they have 100.0 or greater.
Students will have breakfast and lunch in larger rooms or classrooms with space in between each child.
### Data records, as found in the file
{"formula": "MgCr2Fe2O6", "functional": "PBE+U", "state": "optimized geometry", "lattice_angstrom": [[5.1536, 0.0000, 0.0000], [2.5530, 4.5059, 0.0000], [2.5583, 1.5263, 5.0231]], "species": ["Mg", "Cr", "Cr", "Fe", "Fe", "O", "O", "O", "O", "O", "O"], "fractional_positions": [[0.0000, 0.0000, 0.0000], [0.1712, 0.1731, 0.4845], [0.8288, 0.8269, 0.5155], [0.3634, 0.3638, 0.9095], [0.6366, 0.6362, 0.0905], [0.0552, 0.4157, 0.7410], [0.2102, 0.9536, 0.2534], [0.4160, 0.7890, 0.7475], [0.5840, 0.2110, 0.2525], [0.7898, 0.0464, 0.7466], [0.9448, 0.5843, 0.2590]], "dft_energy_ev_per_atom": -7.0523, "ef_ev_per_atom": -2.061, "polymorph_energy_mev_per_atom": 0}


Below is a geometry-optimized Cu2SnSe3 structure, with properties calculated at the GGA-PBE level.

Unit cell a=7.0688 b=7.0688 c=26.8293 alpha=87.55 beta=87.55 gamma=120.01
With the nearest neighbours (Å) after each atom.
Atoms (fractional coordinates):
Cu 0.6826 0.8549 0.9855  4 Se 2.42-2.46
Cu 0.8549 0.6826 0.4855  4 Se 2.42-2.46
Cu 0.0252 0.5171 0.9853  4 Se 2.42-2.47
Cu 0.5171 0.0252 0.4853  4 Se 2.42-2.47
Cu 0.3736 0.8834 0.8605  4 Se 2.42-2.46
Cu 0.8834 0.3736 0.3605  4 Se 2.42-2.46
Cu 0.0624 0.2254 0.8600  4 Se 2.42-2.47
Cu 0.2254 0.0624 0.3600  4 Se 2.42-2.47
Cu 0.1001 0.9186 0.7355  4 Se 2.42-2.47
Cu 0.9186 0.1001 0.2355  4 Se 2.42-2.47
Cu 0.4197 0.5836 0.7353  4 Se 2.42-2.46
Cu 0.5836 0.4197 0.2353  4 Se 2.42-2.46
Cu 0.1266 0.6351 0.6098  4 Se 2.42-2.46
Cu 0.6351 0.1266 0.1098  4 Se 2.42-2.46
Cu 0.4725 0.2927 0.6104  4 Se 2.42-2.47
Cu 0.2927 0.4725 0.1104  4 Se 2.42-2.47
Sn 0.3304 0.1664 0.9808  4 Se 2.61-2.70
Sn 0.1664 0.3304 0.4808  4 Se 2.61-2.70
Sn 0.7170 0.5696 0.8563  4 Se 2.61-2.70
Sn 0.5696 0.7170 0.3563  4 Se 2.61-2.70
Sn 0.7586 0.2739 0.7308  4 Se 2.61-2.70
Sn 0.2739 0.7586 0.2308  4 Se 2.61-2.70
Sn 0.7853 0.9518 0.6063  4 Se 2.60-2.70
Sn 0.9518 0.7853 0.1063  4 Se 2.60-2.70
Se 0.1644 0.3291 0.5814  2 Cu 2.46-2.47, 2 Sn 2.70
Se 0.3291 0.1644 0.0814  2 Cu 2.46-2.47, 2 Sn 2.70
Se 0.7106 0.5437 0.9568  2 Cu 2.46-2.47, 2 Sn 2.69-2.70
Se 0.5437 0.7106 0.4568  2 Cu 2.46-2.47, 2 Sn 2.69-2.70
Se 0.7694 0.9126 0.7068  2 Cu 2.46-2.47, 2 Sn 2.69-2.70
Se 0.9126 0.7694 0.2068  2 Cu 2.46-2.47, 2 Sn 2.69-2.70
Se 0.1286 0.6240 0.7001  3 Cu 2.42-2.44, 1 Sn 2.61
Se 0.6240 0.1286 0.2001  3 Cu 2.42-2.44, 1 Sn 2.61
Se 0.4093 0.2668 0.7009  3 Cu 2.43-2.44, 1 Sn 2.61
Se 0.2668 0.4093 0.2009  3 Cu 2.43-2.44, 1 Sn 2.61
Se 0.7268 0.2085 0.8313  2 Cu 2.46-2.47, 2 Sn 2.70
Se 0.2085 0.7268 0.3313  2 Cu 2.46-2.47, 2 Sn 2.70
Se 0.0833 0.9229 0.8257  3 Cu 2.42-2.43, 1 Sn 2.61
Se 0.9229 0.0833 0.3257  3 Cu 2.42-2.43, 1 Sn 2.61
Se 0.3607 0.8358 0.9508  3 Cu 2.42-2.44, 1 Sn 2.61
Se 0.8358 0.3607 0.4508  3 Cu 2.42-2.44, 1 Sn 2.61
Se 0.4505 0.9727 0.5755  3 Cu 2.42-2.44, 1 Sn 2.61
Se 0.9727 0.4505 0.0755  3 Cu 2.42-2.44, 1 Sn 2.61
Se 0.3716 0.5695 0.8257  3 Cu 2.42-2.44, 1 Sn 2.61
Se 0.5695 0.3716 0.3257  3 Cu 2.42-2.44, 1 Sn 2.61
Se 0.9987 0.1934 0.9504  3 Cu 2.43, 1 Sn 2.61
Custodians are doing extra cleaning and disinfecting.
Students will have frequent breaks to wash hands during the day.
Disinfecting stations have been installed at the main entrances and cafeteria entrances.
Water fountains will be closed. Water bottles have been provided; students may bring water bottles from home. All schools have water bottle filling stations.
Will continue to provide physical activities to meet local and state recommendations.
Students are allowed to wear masks. However, they must be provided by the parent or guardian. Mask care procedures must be taught at home.
Prohibiting the sharing of school supplies.
Due to the unique circumstance, we will not offer attendance rewards such as gift cards at the end of summer school.
Everyone entering the building, (should they choose to enter the building), should practice social distancing while in a building or on a school campus. Everyone should practice social distancing and stay 6 feet away from each other.
Parents and visitors shall wear a face mask while in the building, around other staff or around students. **Please contact your child’s school building administrator if you have a medical condition that would prevent you from wearing a face mask, prior to visiting the school campus.
Staff will wear face masks during the July Summer Experience as much as possible
If a person is alone in an office, they are not required to wear a mask unless another person visits. Give others time to put on a mask before entering an office.
All visitors entering a school building must sign in and include date and time.
Immediately wash hands or sanitize hands upon entering a building. All campuses have hand sanitizing stations - please use them.
**The article is interrupted by records of crystals:**
+++
(1)
GdIn | GGA-PBE | relaxed

Values from the calculation:
- electronic total energy (eV per atom) = -8.8910
- calculated density (g/cm³) = 8.3
- energy relative to the elements (meV per atom) = -477

The structure in CIF format:
```
data_GdIn
_chemical_formula_sum 'Gd1 In1'
_cell_length_a 3.8853
_cell_length_b 3.8853
_cell_length_c 3.6064
_cell_angle_alpha 90.00
_cell_angle_beta 90.00
_cell_angle_gamma 90.00
_space_group_name_H-M_alt 'P 4/m m m'
_space_group_IT_number 123
_space_group_name_Hall '-P 4 2'
loop_
_atom_site_label
_atom_site_type_symbol
_atom_site_fract_x
_atom_site_fract_y
_atom_site_fract_z
Gd1 Gd 0.0000 0.0000 0.0000
In1 In 0.5000 0.5000 0.5000
```

=====

(2)
HfSiO4 | GGA-PBE | relaxed

Values from the calculation:
- electronic total energy (eV per atom) = -9.0599
- calculated density (g/cm³) = 6.8
- energy relative to the elements (meV per atom) = -3656

The structure in CIF format:
```
data_HfSiO4
_chemical_formula_sum 'Hf4 Si4 O16'
_cell_length_a 6.6246
_cell_length_b 6.6246
_cell_length_c 6.0072
_cell_angle_alpha 90.00
_cell_angle_beta 90.00
_cell_angle_gamma 90.00
_space_group_name_H-M_alt 'I 41/a m d'
_space_group_IT_number 141
loop_
_space_group_symop_operation_xyz
'x,y,z'
'-x,-y,-z'
'-y+1/4,x+3/4,z+1/4'
'y+1/4,-x+3/4,-z+1/4'
'-x+1/2,-y,z+1/2'
'x+1/2,y,-z+1/2'
'y+1/4,-x+1/4,z+3/4'
'-y+1/4,x+1/4,-z+3/4'
'x,-y,-z'
'-x,y,z'
'-y+1/4,-x+1/4,-z+3/4'
'y+1/4,x+1/4,z+3/4'
'-x+1/2,y,-z+1/2'
'x+1/2,-y,z+1/2'
'y+1/4,x+3/4,-z+1/4'
'-y+1/4,-x+3/4,z+1/4'
'x+1/2,y+1/2,z+1/2'
'-x+1/2,-y+1/2,-z+1/2'
'-y+3/4,x+1/4,z+3/4'
'y+3/4,-x+1/4,-z+3/4'
'-x,-y+1/2,z'
'x,y+1/2,-z'
'y+3/4,-x+3/4,z+1/4'
'-y+3/4,x+3/4,-z+1/4'
'x+1/2,-y+1/2,-z+1/2'
'-x+1/2,y+1/2,z+1/2'
'-y+3/4,-x+3/4,-z+1/4'
'y+3/4,x+3/4,z+1/4'
'-x,y+1/2,-z'
'x,-y+1/2,z'
'y+3/4,x+1/4,-z+3/4'
'-y+3/4,-x+1/4,z+3/4'
loop_
_atom_site_label
_atom_site_type_symbol
_atom_site_fract_x
_atom_site_fract_y
_atom_site_fract_z
Hf1 Hf 0.0000 0.2500 0.3750
Si1 Si 0.0000 0.2500 0.8750
O1 O 0.0000 0.0654 0.6934
```

=====

(3)
CeHoZn2 | GGA-PBE | relaxed

Values from the calculation:
- electronic total energy (eV per atom) = -3.5275
- calculated density (g/cm³) = 7.8
- energy relative to the elements (meV per atom) = -269

The structure in CIF format:
```
data_CeHoZn2
_chemical_formula_sum 'Ce4 Ho4 Zn8'
_cell_length_a 7.1873
_cell_length_b 7.1873
_cell_length_c 7.1873
_cell_angle_alpha 90.00
_cell_angle_beta 90.00
_cell_angle_gamma 90.00
_space_group_name_H-M_alt 'F m -3 m'
_space_group_IT_number 225
_space_group_name_Hall '-F 4 2 3'
loop_
_atom_site_label
_atom_site_type_symbol
_atom_site_fract_x
_atom_site_fract_y
_atom_site_fract_z
Ce1 Ce 0.0000 0.0000 0.0000
Ho1 Ho 0.0000 0.0000 0.5000
Zn1 Zn 0.2500 0.2500 0.2500
```

=====

(4)
K2CuC4O10 | GGA-PBE | relaxed

Values from the calculation:
- electronic total energy (eV per atom) = -6.3407
- calculated density (g/cm³) = 2.2
- energy relative to the elements (meV per atom) = -1291

The structure in CIF format:
```
data_K2CuC4O10
+++
**The article goes on:**
If there are symptoms of a fever, cough, or shortness of breath, remain at home for the safety of everyone.
Our goal is to follow the guidelines from our local, state and national health departments while also helping everyone on our school campuses feel safe and comfortable.
If you have questions, feel free to call your child’s respective school office or email socialmedia@monettschools.org.
Monett R-1 Schools